(Assignment)
Could you quote the calculation results further down from the first line to the one with "-106.1" without additions?

(Given)
'''
No. 1
# Ta4AlC3 | the Alexandria database | meta-GGA SCAN | single point on PBEsol structure
# - electronic total energy (eV for the cell shown) = -617.0
# - magnetic moment (μB/cell) = 0.00
# - formation energy from the elements (eV/f.u.) = -4.11
data_Ta4AlC3
_chemical_formula_sum 'Ta8 Al2 C6'
_symmetry_space_group_name_H-M 'P 1'
_symmetry_Int_Tables_number 1
_cell_length_a 3.078
_cell_length_b 3.078
_cell_length_c 24.518
_cell_angle_alpha 90.00
_cell_angle_beta 90.00
_cell_angle_gamma 120.00
loop_
_symmetry_equiv_pos_as_xyz
'x,y,z'
loop_
_atom_site_label
_atom_site_type_symbol
_atom_site_fract_x
_atom_site_fract_y
_atom_site_fract_z
_atom_site_occupancy
Ta1 Ta 0.667 0.333 0.159 1
Ta2 Ta 0.333 0.667 0.659 1
Ta3 Ta 0.333 0.667 0.841 1
Ta4 Ta 0.667 0.333 0.341 1
Ta5 Ta 0.333 0.667 0.055 1
Ta6 Ta 0.667 0.333 0.555 1
Ta7 Ta 0.667 0.333 0.945 1
Ta8 Ta 0.333 0.667 0.445 1
Al1 Al 0.667 0.333 0.750 1
Al2 Al 0.333 0.667 0.250 1
C1 C 0.000 0.000 0.110 1
C2 C 0.000 0.000 0.610 1
C3 C 0.000 0.000 0.890 1
C4 C 0.000 0.000 0.500 1
C5 C 0.000 0.000 0.390 1
C6 C 0.000 0.000 0.000 1


No. 2
# AlTc3C | the Alexandria database | meta-GGA SCAN | single point on PBEsol structure
# - electronic total energy (eV for the cell shown) = -123.2
# - magnetic moment (μB/cell) = 0.00
# - formation energy from the elements (eV/f.u.) = -0.18
data_AlTc3C
_chemical_formula_sum 'Al1 Tc3 C1'
_symmetry_space_group_name_H-M 'P 1'
_symmetry_Int_Tables_number 1
_cell_length_a 4.015
_cell_length_b 4.015
_cell_length_c 4.015
_cell_angle_alpha 90.00
_cell_angle_beta 90.00
_cell_angle_gamma 90.00
loop_
_symmetry_equiv_pos_as_xyz
'x,y,z'
loop_
_atom_site_label
_atom_site_type_symbol
_atom_site_fract_x
_atom_site_fract_y
_atom_site_fract_z
_atom_site_occupancy
C1 C 0.000 0.000 0.000 1
Tc1 Tc 0.000 0.500 0.000 1
Tc2 Tc 0.000 0.000 0.500 1
Tc3 Tc 0.500 0.000 0.000 1
Al1 Al 0.500 0.500 0.500 1


No. 3
# Ti2AlC | the Alexandria database | meta-GGA SCAN | single point on PBEsol structure
# - electronic total energy (eV for the cell shown) = -106.1
# - magnetic moment (μB/cell) = 0.00
# - formation energy from the elements (eV/f.u.) = -3.15
data_Ti2AlC
_chemical_formula_sum 'Ti4 Al2 C2'
_symmetry_space_group_name_H-M 'P 1'
_symmetry_Int_Tables_number 1
_cell_length_a 3.039
_cell_length_b 3.039
_cell_length_c 13.631
_cell_angle_alpha 90.00
_cell_angle_beta 90.00
_cell_angle_gamma 120.00
loop_
_symmetry_equiv_pos_as_xyz
'x,y,z'
loop_
_atom_site_label
_atom_site_type_symbol
_atom_site_fract_x
_atom_site_fract_y
_atom_site_fract_z
_atom_site_occupancy
C1 C 0.000 0.000 0.500 1
C2 C 0.000 0.000 0.000 1
Al1 Al 0.333 0.667 0.750 1
Al2 Al 0.667 0.333 0.250 1
Ti1 Ti 0.333 0.667 0.416 1
Ti2 Ti 0.667 0.333 0.916 1
Ti3 Ti 0.667 0.333 0.584 1
Ti4 Ti 0.333 0.667 0.084 1


No. 4
# Ti5Al2C3 | the Alexandria database | meta-GGA SCAN | single point on PBEsol structure
# - electronic total energy (eV for the cell shown) = -134.3
# - magnetic moment (μB/cell) = 0.02
# - formation energy from the elements (eV/f.u.) = -8.36
data_Ti5Al2C3
_chemical_formula_sum 'Ti5 Al2 C3'
_symmetry_space_group_name_H-M 'P 1'
_symmetry_Int_Tables_number 1
_cell_length_a 3.048
_cell_length_b 3.048
_cell_length_c 16.157
_cell_angle_alpha 84.59
_cell_angle_beta 84.59
_cell_angle_gamma 60.00
loop_
_symmetry_equiv_pos_as_xyz
'x,y,z'
loop_
_atom_site_label
_atom_site_type_symbol
_atom_site_fract_x
_atom_site_fract_y
_atom_site_fract_z
_atom_site_occupancy
C1 C 0.860 0.860 0.420 1
C2 C 0.140 0.140 0.580 1
C3 C 0.000 0.000 0.000 1
Al1 Al 0.596 0.596 0.212 1
Al2 Al 0.404 0.404 0.788 1
Ti1 Ti 0.500 0.500 0.500 1
Ti2 Ti 0.785 0.785 0.646 1
Ti3 Ti 0.690 0.690 0.929 1
Ti4 Ti 0.310 0.310 0.071 1
Ti5 Ti 0.215 0.215 0.354 1


Number 1: density of states at the Fermi level 3.760 states/eV/cell. Number 2: density of states at the Fermi level 4.605 states/eV/cell. Number 3: density of states at the Fermi level 2.612 states/eV/cell. Number 4: density of states at the Fermi level 3.176 states/eV/cell.

----------
'''

(Worked solution)
No. 1
# Ta4AlC3 | the Alexandria database | meta-GGA SCAN | single point on PBEsol structure
# - electronic total energy (eV for the cell shown) = -617.0
# - magnetic moment (μB/cell) = 0.00
# - formation energy from the elements (eV/f.u.) = -4.11
data_Ta4AlC3
_chemical_formula_sum 'Ta8 Al2 C6'
_symmetry_space_group_name_H-M 'P 1'
_symmetry_Int_Tables_number 1
_cell_length_a 3.078
_cell_length_b 3.078
_cell_length_c 24.518
_cell_angle_alpha 90.00
_cell_angle_beta 90.00
_cell_angle_gamma 120.00
loop_
_symmetry_equiv_pos_as_xyz
'x,y,z'
loop_
_atom_site_label
_atom_site_type_symbol
_atom_site_fract_x
_atom_site_fract_y
_atom_site_fract_z
_atom_site_occupancy
Ta1 Ta 0.667 0.333 0.159 1
Ta2 Ta 0.333 0.667 0.659 1
Ta3 Ta 0.333 0.667 0.841 1
Ta4 Ta 0.667 0.333 0.341 1
Ta5 Ta 0.333 0.667 0.055 1
Ta6 Ta 0.667 0.333 0.555 1
Ta7 Ta 0.667 0.333 0.945 1
Ta8 Ta 0.333 0.667 0.445 1
Al1 Al 0.667 0.333 0.750 1
Al2 Al 0.333 0.667 0.250 1
C1 C 0.000 0.000 0.110 1
C2 C 0.000 0.000 0.610 1
C3 C 0.000 0.000 0.890 1
C4 C 0.000 0.000 0.500 1
C5 C 0.000 0.000 0.390 1
C6 C 0.000 0.000 0.000 1


No. 2
# AlTc3C | the Alexandria database | meta-GGA SCAN | single point on PBEsol structure
# - electronic total energy (eV for the cell shown) = -123.2
# - magnetic moment (μB/cell) = 0.00
# - formation energy from the elements (eV/f.u.) = -0.18
data_AlTc3C
_chemical_formula_sum 'Al1 Tc3 C1'
_symmetry_space_group_name_H-M 'P 1'
_symmetry_Int_Tables_number 1
_cell_length_a 4.015
_cell_length_b 4.015
_cell_length_c 4.015
_cell_angle_alpha 90.00
_cell_angle_beta 90.00
_cell_angle_gamma 90.00
loop_
_symmetry_equiv_pos_as_xyz
'x,y,z'
loop_
_atom_site_label
_atom_site_type_symbol
_atom_site_fract_x
_atom_site_fract_y
_atom_site_fract_z
_atom_site_occupancy
C1 C 0.000 0.000 0.000 1
Tc1 Tc 0.000 0.500 0.000 1
Tc2 Tc 0.000 0.000 0.500 1
Tc3 Tc 0.500 0.000 0.000 1
Al1 Al 0.500 0.500 0.500 1


No. 3
# Ti2AlC | the Alexandria database | meta-GGA SCAN | single point on PBEsol structure
# - electronic total energy (eV for the cell shown) = -106.1